Work order.
Please retype the entries underneath without altering anything.
Entries.
Here is a relaxed structure of AcTb2Ce3Se6 from the Alexandria database. Energies are from PBE-GGA.

Cell lengths 7.298, 7.298, 7.325 Å; angles 99.60, 99.60, 120.05 degrees
Element x y z (fractional)
1 Ac 0.000 0.000 0.000
2 Tb 0.332 0.668 0.000
3 Tb 0.668 0.332 0.000
4 Ce 0.160 0.840 0.500
5 Ce 0.840 0.160 0.500
6 Ce 0.500 0.500 0.500
7 Se 0.916 0.568 0.749
8 Se 0.732 0.732 0.243
9 Se 0.084 0.432 0.251
10 Se 0.568 0.916 0.749
11 Se 0.268 0.268 0.757
12 Se 0.432 0.084 0.251

uncorrected formation energy: -1.80 eV per atom


Here is a relaxed structure of Y5HoTmTh2 from the Alexandria database. Energies are from PBE-GGA.

Cell lengths 8.700, 8.700, 9.970 Å; angles 115.87, 115.87, 90.00 degrees
Element x y z (fractional)
1 Y 0.929 0.429 0.281
2 Y 0.648 0.148 0.719
3 Y 0.071 0.571 0.719
4 Y 0.148 0.071 0.719
5 Y 0.571 0.648 0.719
6 Y 0.852 0.929 0.281
7 Y 0.429 0.352 0.281
8 Y 0.352 0.852 0.281
9 Y 0.500 0.500 0.000
10 Y 0.000 0.000 0.000
11 Ho 0.250 0.750 0.500
12 Ho 0.750 0.250 0.500
13 Tm 0.250 0.250 0.500
14 Tm 0.750 0.750 0.500
15 Th 0.120 0.380 0.000
16 Th 0.620 0.120 0.000
17 Th 0.380 0.880 0.000
18 Th 0.880 0.620 0.000

uncorrected energy: -0.2170 hartree per atom


Here is a relaxed structure of NdZn3AgAu from the Alexandria database. Energies are from PBE-GGA.

Cell lengths 5.903, 6.156, 7.292 Å; angles 114.97, 90.00, 90.00 degrees
Element x y z (fractional)
1 Nd 0.750 0.298 0.596
2 Nd 0.250 0.702 0.404
3 Zn 0.250 0.132 0.263
4 Zn 0.000 0.301 0.000
5 Zn 0.500 0.699 0.000
6 Zn 0.500 0.301 0.000
7 Zn 0.000 0.699 0.000
8 Zn 0.750 0.868 0.737
9 Ag 0.250 0.920 0.839
10 Ag 0.750 0.080 0.161
11 Au 0.250 0.340 0.679
12 Au 0.750 0.660 0.321

uncorrected energy: -0.0971 hartree per atom


Here is a relaxed structure of LiMnBe from the Alexandria database. Energies are from PBE-GGA.

Cell lengths 6.187, 6.187, 6.187 Å; angles 158.50, 158.50, 30.58 degrees
Element x y z (fractional)
1 Be 0.010 0.010 0.000
2 Li 0.336 0.336 0.000
3 Mn 0.654 0.654 0.000

energy above the lowest structure with this stoichiometry: 1 meV per atom


Here is a relaxed structure of Sr3SnSb from the Alexandria database. Energies are from PBE-GGA.

Cell lengths 4.601, 9.279, 9.425 Å; angles 93.85, 90.00, 104.35 degrees
Element x y z (fractional)
1 Sr 0.072 0.178 0.384
2 Sr 0.420 0.874 0.624
3 Sr 0.623 0.280 0.797
4 Sr 0.972 0.976 0.037
5 Sr 0.259 0.551 0.032
6 Sr 0.785 0.603 0.390
7 Sn 0.225 0.484 0.647
8 Sn 0.818 0.670 0.775
9 Sb 0.411 0.855 0.274
10 Sb 0.633 0.299 0.148

uncorrected formation energy: -0.72 eV per atom
energy above the lowest structure with this stoichiometry: 0 meV per atom


Here is a relaxed structure of NaLaGdAl from the Alexandria database. Energies are from PBE-GGA.

Cell lengths 5.436, 5.436, 5.436 Å; angles 60.00, 60.00, 60.00 degrees
Element x y z (fractional)
1 Na 0.750 0.750 0.750
2 Gd 0.500 0.500 0.500
3 Al 0.250 0.250 0.250
4 La 0.000 0.000 0.000

uncorrected energy: -0.2235 hartree per atom
Solution.
Here is a relaxed structure of AcTb2Ce3Se6 from the Alexandria database. Energies are from PBE-GGA.

Cell lengths 7.298, 7.298, 7.325 Å; angles 99.60, 99.60, 120.05 degrees
Element x y z (fractional)
1 Ac 0.000 0.000 0.000
2 Tb 0.332 0.668 0.000
3 Tb 0.668 0.332 0.000
4 Ce 0.160 0.840 0.500
5 Ce 0.840 0.160 0.500
6 Ce 0.500 0.500 0.500
7 Se 0.916 0.568 0.749
8 Se 0.732 0.732 0.243
9 Se 0.084 0.432 0.251
10 Se 0.568 0.916 0.749
11 Se 0.268 0.268 0.757
12 Se 0.432 0.084 0.251

uncorrected formation energy: -1.80 eV per atom


Here is a relaxed structure of Y5HoTmTh2 from the Alexandria database. Energies are from PBE-GGA.

Cell lengths 8.700, 8.700, 9.970 Å; angles 115.87, 115.87, 90.00 degrees
Element x y z (fractional)
1 Y 0.929 0.429 0.281
2 Y 0.648 0.148 0.719
3 Y 0.071 0.571 0.719
4 Y 0.148 0.071 0.719
5 Y 0.571 0.648 0.719
6 Y 0.852 0.929 0.281
7 Y 0.429 0.352 0.281
8 Y 0.352 0.852 0.281
9 Y 0.500 0.500 0.000
10 Y 0.000 0.000 0.000
11 Ho 0.250 0.750 0.500
12 Ho 0.750 0.250 0.500
13 Tm 0.250 0.250 0.500
14 Tm 0.750 0.750 0.500
15 Th 0.120 0.380 0.000
16 Th 0.620 0.120 0.000
17 Th 0.380 0.880 0.000
18 Th 0.880 0.620 0.000

uncorrected energy: -0.2170 hartree per atom


Here is a relaxed structure of NdZn3AgAu from the Alexandria database. Energies are from PBE-GGA.

Cell lengths 5.903, 6.156, 7.292 Å; angles 114.97, 90.00, 90.00 degrees
Element x y z (fractional)
1 Nd 0.750 0.298 0.596
2 Nd 0.250 0.702 0.404
3 Zn 0.250 0.132 0.263
4 Zn 0.000 0.301 0.000
5 Zn 0.500 0.699 0.000
6 Zn 0.500 0.301 0.000
7 Zn 0.000 0.699 0.000
8 Zn 0.750 0.868 0.737
9 Ag 0.250 0.920 0.839
10 Ag 0.750 0.080 0.161
11 Au 0.250 0.340 0.679
12 Au 0.750 0.660 0.321

uncorrected energy: -0.0971 hartree per atom


Here is a relaxed structure of LiMnBe from the Alexandria database. Energies are from PBE-GGA.

Cell lengths 6.187, 6.187, 6.187 Å; angles 158.50, 158.50, 30.58 degrees
Element x y z (fractional)
1 Be 0.010 0.010 0.000
2 Li 0.336 0.336 0.000
3 Mn 0.654 0.654 0.000

energy above the lowest structure with this stoichiometry: 1 meV per atom


Here is a relaxed structure of Sr3SnSb from the Alexandria database. Energies are from PBE-GGA.

Cell lengths 4.601, 9.279, 9.425 Å; angles 93.85, 90.00, 104.35 degrees
Element x y z (fractional)
1 Sr 0.072 0.178 0.384
2 Sr 0.420 0.874 0.624
3 Sr 0.623 0.280 0.797
4 Sr 0.972 0.976 0.037
5 Sr 0.259 0.551 0.032
6 Sr 0.785 0.603 0.390
7 Sn 0.225 0.484 0.647
8 Sn 0.818 0.670 0.775
9 Sb 0.411 0.855 0.274
10 Sb 0.633 0.299 0.148

uncorrected formation energy: -0.72 eV per atom
energy above the lowest structure with this stoichiometry: 0 meV per atom


Here is a relaxed structure of NaLaGdAl from the Alexandria database. Energies are from PBE-GGA.

Cell lengths 5.436, 5.436, 5.436 Å; angles 60.00, 60.00, 60.00 degrees
Element x y z (fractional)
1 Na 0.750 0.750 0.750
2 Gd 0.500 0.500 0.500
3 Al 0.250 0.250 0.250
4 La 0.000 0.000 0.000

uncorrected energy: -0.2235 hartree per atom